# Data
-- begin --
Calculated X-ray diffraction stick pattern of Ba3TiAl10O20 for λ = 1.5418 Å (Cu Kα), from a crystal structure in Alexandria, relaxed with PBE.
Peak positions follow from Bragg's law for the DFT cell and can differ from measured ones.

```
Ba3TiAl10O20
1.0
7.886 -5.754 0.000
7.886 5.754 0.000
-1.549 0.000 4.791
Ba Ti Al O
3 1 10 20
direct
0.000 0.000 0.000
0.278 0.278 0.255
0.722 0.722 0.745
0.500 0.500 0.000
0.007 0.287 0.660
0.149 0.577 0.837
0.287 0.007 0.660
0.363 0.637 0.500
0.423 0.851 0.163
0.577 0.149 0.837
0.637 0.363 0.500
0.713 0.993 0.340
0.851 0.423 0.163
0.993 0.713 0.340
0.012 0.711 0.999
0.107 0.107 0.534
0.117 0.405 0.689
0.170 0.660 0.567
0.289 0.988 0.001
0.306 0.552 0.112
0.340 0.830 0.433
0.405 0.117 0.689
0.438 0.438 0.607
0.448 0.694 0.888
0.552 0.306 0.112
0.562 0.562 0.393
0.595 0.883 0.311
0.660 0.170 0.567
0.694 0.448 0.888
0.711 0.012 0.999
0.830 0.340 0.433
0.883 0.595 0.311
0.893 0.893 0.466
0.988 0.289 0.001
```

Main lines, most intense first (10° ≤ 2θ ≤ 90°):
2θ (°)  intensity
29.29  100.0
28.40  80.4
29.71  53.8
15.40  51.5
19.24  46.0
29.44  43.2
35.67  39.0
30.89  38.6
30.55  34.4
40.46  29.8

* * * * *

1.
# ScNi2Te
Theoretical X-ray powder pattern, λ = 1.5418 Å (Cu Kα). Input: a DFT-relaxed cell (GGA-PBE, Alexandria).
Intensities are scaled so that the largest is 100.

Main lines, by angle (5° ≤ 2θ ≤ 70°):
2θ = 18.18°, d = 4.880 Å, rel. 18, hkl 0 0 1
2θ = 25.36°, d = 3.512 Å, rel. 26, hkl 1 0 0
2θ = 31.38°, d = 2.851 Å, rel. 100, hkl 1 0 1
2θ = 44.69°, d = 2.028 Å, rel. 72, hkl 1 1 0
2θ = 45.25°, d = 2.004 Å, rel. 79, hkl 1 0 2
2θ = 48.62°, d = 1.873 Å, rel. 9, hkl 1 1 1
2θ = 52.08°, d = 1.756 Å, rel. 4, hkl 2 0 0
2θ = 55.62°, d = 1.652 Å, rel. 19, hkl 2 0 1
2θ = 56.57°, d = 1.627 Å, rel. 1, hkl 0 0 3
2θ = 59.25°, d = 1.560 Å, rel. 1, hkl 1 1 2
2θ = 62.97°, d = 1.476 Å, rel. 13, hkl 1 0 3
2θ = 65.48°, d = 1.425 Å, rel. 25, hkl 2 0 2

Cell and atoms:
abc: 4.0557 4.0557 4.8804
angles: 90.00 90.00 120.00
Space group P-6m2 (No. 187)
-- stop --

# Work order
Reproduce only the lines further above with the word "Intensities" in them, please.

# Written answer
Intensities are scaled so that the largest is 100.